The Glassman Legal Group takes pride in helping people protect their homes by ensuring homeowners insurance companies are treating you fairly. For many, a home is a person’s most treasured asset.

Composing A Letter To Your Insurance Company

If your property has been damaged and you feel it’s appropriate to file a claim with your homeowner’s insurance company, get your facts and documents organized. In the letter you write them, you’ll need to include details of the incident that caused the damage and the circumstances leading up to it. Create a timeline of events. Provide detail, but also be concise, crisp, and clear.

Provide evidence to support and backup your claim, such as photos of the damage, repair receipts, and police reports, if relevant. At the top of your letter, make sure to include your policy number.

Understanding Your Insurance Company’s Response

_Someone pasted calculated crystals at this point_
********
# 1
An optimized crystal structure of Sr15Pd5O24. Source: the Materials Project database, functional PBE.

Cell and atoms, written as POSCAR:
```
Sr15Pd5O24
1.0
4.899 4.886 0.000
-4.899 4.886 0.000
0.000 0.063 13.825
O Sr Pd
24 15 5
direct
0.572 0.286 0.904
0.716 0.426 0.596
0.443 0.075 0.732
0.078 0.452 0.483
0.283 0.579 0.646
0.925 0.557 0.268
0.786 0.942 0.838
0.548 0.922 0.517
0.214 0.059 0.911
0.216 0.048 0.415
0.558 0.926 0.018
0.441 0.071 0.233
0.941 0.786 0.089
0.929 0.559 0.767
0.784 0.941 0.339
0.574 0.284 0.404
0.059 0.216 0.661
0.058 0.214 0.162
0.952 0.784 0.585
0.421 0.717 0.354
0.074 0.442 0.982
0.287 0.574 0.156
0.714 0.428 0.096
0.426 0.713 0.844
0.620 0.751 0.184
0.381 0.251 0.564
0.751 0.620 0.933
0.250 0.392 0.320
0.122 0.882 0.745
0.249 0.380 0.816
0.380 0.249 0.067
0.891 0.109 0.500
0.882 0.118 0.000
0.118 0.878 0.255
0.749 0.619 0.436
0.608 0.750 0.680
0.249 0.751 0.000
0.749 0.249 0.250
0.751 0.251 0.750
0.499 0.999 0.376
0.001 0.501 0.624
0.500 0.000 0.875
0.251 0.749 0.500
0.000 0.500 0.125
```

## Properties
V: 662 Å³/f.u.
Formation energy: -2.458 eV per atom
Symmetry: C2

---

# 2
An optimized crystal structure of PrCr2Si2C. Source: the Materials Project database, functional PBE.

Cell and atoms, written as POSCAR:
```
PrCr2Si2C
1.0
4.016 0.000 0.000
0.000 4.016 0.000
0.000 0.000 5.406
Pr Cr C Si
1 2 1 2
direct
0.000 0.000 0.000
0.000 0.500 0.500
0.500 0.000 0.500
0.000 0.000 0.500
0.500 0.500 0.765
0.500 0.500 0.235
```

## Properties
V: 87 Å³/f.u.
Formation energy: -0.415 eV per atom
Symmetry: P4/mmm

---

# 3
An optimized crystal structure of CsH24RhS2O20. Source: the Materials Project database, functional PBE.

Cell and atoms, written as POSCAR:
```
CsH24RhS2O20
1.0
12.439 0.000 0.000
0.000 12.439 0.000
0.000 0.000 12.439
H O Rh Cs S
96 80 4 4 8
direct
0.925 0.304 0.527
0.023 0.056 0.208
0.214 0.269 0.004
0.444 0.708 0.023
0.708 0.023 0.444
0.792 0.121 0.324
0.769 0.496 0.786
0.977 0.944 0.792
0.286 0.731 0.504
0.731 0.504 0.286
0.676 0.208 0.879
0.269 0.004 0.214
0.214 0.231 0.504
0.879 0.676 0.208
0.504 0.214 0.231
0.523 0.444 0.792
0.075 0.696 0.473
0.292 0.977 0.556
0.824 0.792 0.379
0.804 0.973 0.075
0.708 0.477 0.944
0.527 0.925 0.304
0.292 0.379 0.676
0.523 0.056 0.292
0.731 0.996 0.786
0.944 0.792 0.977
0.621 0.176 0.208
0.504 0.286 0.731
0.792 0.379 0.824
0.379 0.824 0.792
0.208 0.621 0.176
0.977 0.556 0.292
0.496 0.786 0.769
0.196 0.473 0.425
0.075 0.804 0.973
0.121 0.324 0.792
0.804 0.527 0.575
0.496 0.714 0.269
0.477 0.556 0.208
0.176 0.208 0.621
0.286 0.769 0.004
0.324 0.792 0.121
0.444 0.792 0.523
0.208 0.023 0.056
0.231 0.504 0.214
0.925 0.196 0.027
0.231 0.996 0.714
0.556 0.208 0.477
0.996 0.714 0.231
0.786 0.731 0.996
0.708 0.879 0.824
0.304 0.527 0.925
0.176 0.292 0.121
0.575 0.696 0.027
0.004 0.214 0.269
0.792 0.523 0.444
0.196 0.027 0.925
0.973 0.075 0.804
0.004 0.286 0.769
0.527 0.575 0.804
0.208 0.477 0.556
0.769 0.004 0.286
0.477 0.944 0.708
0.027 0.925 0.196
0.056 0.292 0.523
********

The insurance claim process can be puzzling. As you battle uncertainty, it’s not unusual to feel like you’re in the dark while awaiting a decision as to what is and is not covered by your insurance policy. Your insurance company will almost always communicate their decisions via a letter in the mail, so people anxiously look out their window and dart to the mailbox each day after seeing the postal worker make his/her delivery. 

<<<
A relaxed structure of Na2LiPrCl6, computed with PBE.

Properties
- Space-group type: Fm-3m
- Magnetization: 0.001 μB per atom
- ΔH_f (0 K): -2.20 eV per atom

Unit cell a=7.4305 b=7.4305 c=7.4305 alpha=60.00 beta=60.00 gamma=60.00
Last column: nearest neighbours and their distance in Å.
Fractional positions:
Na1 0.2500 0.2500 0.2500  12 Cl 3.72
Na2 0.7500 0.7500 0.7500  12 Cl 3.72
Li1 0.0000 0.0000 0.0000  6 Cl 2.53
Pr1 0.5000 0.5000 0.5000  6 Cl 2.73
Cl1 0.2405 0.2405 0.7595  1 Li 2.53, 1 Pr 2.73
Cl2 0.2405 0.7595 0.2405  1 Li 2.53, 1 Pr 2.73
Cl3 0.2405 0.7595 0.7595  1 Li 2.53, 1 Pr 2.73
Cl4 0.7595 0.2405 0.2405  1 Li 2.53, 1 Pr 2.73
Cl5 0.7595 0.2405 0.7595  1 Li 2.53, 1 Pr 2.73
Cl6 0.7595 0.7595 0.2405  1 Li 2.53, 1 Pr 2.73

A relaxed structure of Na2LiSbCl6, computed with PBE.

Properties
- Space-group type: Fm-3m
- Magnetization: 0.000 μB per atom
- ΔH_f (0 K): -1.66 eV per atom

Unit cell a=7.2949 b=7.2949 c=7.2949 alpha=60.00 beta=60.00 gamma=60.00
Last column: nearest neighbours and their distance in Å.
Fractional positions:
Na1 0.2500 0.2500 0.2500  12 Cl 3.65
Na2 0.7500 0.7500 0.7500  12 Cl 3.65
Li1 0.0000 0.0000 0.0000  6 Cl 2.52
Sb1 0.5000 0.5000 0.5000  6 Cl 2.64
Cl1 0.2445 0.2445 0.7555  1 Li 2.52, 1 Sb 2.64
Cl2 0.2445 0.7555 0.2445  1 Li 2.52, 1 Sb 2.64
Cl3 0.2445 0.7555 0.7555  1 Li 2.52, 1 Sb 2.64
Cl4 0.7555 0.2445 0.2445  1 Li 2.52, 1 Sb 2.64
Cl5 0.7555 0.2445 0.7555  1 Li 2.52, 1 Sb 2.64
Cl6 0.7555 0.7555 0.2445  1 Li 2.52, 1 Sb 2.64

A relaxed structure of Na2LiScCl6, computed with PBE.

Properties
- Space-group type: Fm-3m
- Magnetization: 0.000 μB per atom
- ΔH_f (0 K): -2.20 eV per atom

Unit cell a=7.0585 b=7.0585 c=7.0585 alpha=60.00 beta=60.00 gamma=60.00
Last column: nearest neighbours and their distance in Å.
Fractional positions:
Na1 0.2500 0.2500 0.2500  12 Cl 3.53
Na2 0.7500 0.7500 0.7500  12 Cl 3.53
Li1 0.0000 0.0000 0.0000  6 Cl 2.51
Sc1 0.5000 0.5000 0.5000  6 Cl 2.48
Cl1 0.2518 0.2518 0.7482  1 Sc 2.48, 1 Li 2.51
Cl2 0.2518 0.7482 0.2518  1 Sc 2.48, 1 Li 2.51
Cl3 0.2518 0.7482 0.7482  1 Sc 2.48, 1 Li 2.51
Cl4 0.7482 0.2518 0.2518  1 Sc 2.48, 1 Li 2.51
Cl5 0.7482 0.2518 0.7482  1 Sc 2.48, 1 Li 2.51
Cl6 0.7482 0.7482 0.2518  1 Sc 2.48, 1 Li 2.51

A relaxed structure of Na2LiSmCl6, computed with PBE.

Properties
- Space-group type: Fm-3m
- ΔH_f (0 K): -2.23 eV per atom

Unit cell a=7.3503 b=7.3503 c=7.3503 alpha=60.00 beta=60.00 gamma=60.00
Last column: nearest neighbours and their distance in Å.
Fractional positions:
Na1 0.2500 0.2500 0.2500  12 Cl 3.68
Na2 0.7500 0.7500 0.7500  12 Cl 3.68
Li1 0.0000 0.0000 0.0000  6 Cl 2.53
Sm1 0.5000 0.5000 0.5000  6 Cl 2.67
Cl1 0.2429 0.2429 0.7571  1 Li 2.53, 1 Sm 2.67
Cl2 0.2429 0.7571 0.2429  1 Li 2.53, 1 Sm 2.67
Cl3 0.2429 0.7571 0.7571  1 Li 2.53, 1 Sm 2.67
Cl4 0.7571 0.2429 0.2429  1 Li 2.53, 1 Sm 2.67
Cl5 0.7571 0.2429 0.7571  1 Li 2.53, 1 Sm 2.67
Cl6 0.7571 0.7571 0.2429  1 Li 2.53, 1 Sm 2.67

| no. | calculated density (g cm⁻³) |
| --- | --- |
| 1 | 2.33 |
>>>

When you receive a letter regretfully informing you of a decision that seems questionable, you may feel overwhelmed and/or defeated. It’s important to remember insurance company’s letters are not designed to inspire confidence in homeowners to dispute the insurance company’s decision. They do not just easily grant you money or a win.

You have to state your case, provide evidence, and convince them that the damage is covered by the terms and conditions of your policy. That’s where The Glassman Legal Group comes in! We can help read between the lines of the legalities of your policy and the letters that reference it. Our team of expert attorneys can be your eyes, ears, and voice in handling your insurance company when you don’t agree with a coverage determination.

We get to know the unique details of your case to craft a specific plan to use the full extent of the law to maximize the likelihood you’ll succeed in recovering a full and fair amount of money, so you can continue safeguarding the condition of your home. 

When you’re in the dark about an insurance claim or feel like you’ve reached a dead end, call The Glassman Legal Group at (954) 915-8800 and we’ll help guide you to victory. We do not charge out of pocket legal fees. We only get paid when our clients recover their money in a settlement.